_Listing_
+++
44
Lattice="-0.7394 9.1664 6.1782 -8.3791 -4.5732 5.7822 7.6896 -4.4944 7.5885" Properties=species:S:1:pos:R:3 comment="USCl9 PBE relaxed" corrected_energy_ev_per_atom=-4.412 ef_ev_per_atom=-1.497 magmom_total_mub_per_fu=1.0 pbc="T T T"
Cl 0.6683 -2.4422 4.0793
Cl -0.6158 -4.0802 10.2929
Cl -2.2098 3.8075 6.6920
Cl -4.9540 1.2892 11.7407
Cl -4.8777 -0.8586 6.5150
Cl -1.0617 -0.3519 11.3971
Cl 2.9911 -2.6459 11.2677
Cl 1.7474 -2.4153 7.9009
Cl -1.5603 2.0268 14.0005
Cl -3.2960 6.5296 8.7156
S -0.3212 -0.3676 6.2581
Cl -1.6763 0.3164 4.9502
Cl -5.0199 2.4617 8.8307
Cl 4.3883 2.6721 12.1142
U -0.9312 -0.4179 13.9066
Cl -4.2666 -5.4329 8.6187
Cl 1.8383 -6.0318 10.3860
Cl -0.9461 0.4069 7.9997
S -6.2198 2.0220 10.3711
Cl 1.4996 0.2393 13.8593
Cl -4.2289 -2.0973 9.8667
Cl -0.2850 -2.8853 13.8041
Cl -7.0537 -3.2254 8.0428
S 3.0234 3.4769 10.8877
Cl -0.4634 -6.3254 12.4799
Cl -0.8047 -0.5371 16.4589
U -4.5754 -3.1559 7.5994
Cl 2.4341 0.5913 9.7232
Cl 5.7665 -0.5473 10.3666
S 0.6597 -4.9337 11.5811
Cl -5.6752 4.9339 11.4913
Cl 4.5410 -0.4094 6.9827
Cl 3.4276 5.4389 10.9906
Cl 5.1413 -3.5394 8.5388
U 3.7903 -1.4887 9.1309
Cl -0.3806 6.8930 6.6450
Cl 1.0772 4.0086 8.2231
Cl -3.4073 -1.0483 14.0299
Cl 1.3249 3.3287 11.9360
U -1.1414 5.2600 8.4611
Cl -2.0609 -3.0012 7.1553
Cl 1.3005 0.7326 5.8514
Cl -7.1776 0.3836 9.7218
Cl -1.8447 3.5931 10.2133


30
Lattice="8.5127 0.0000 0.0000 -0.0164 8.5174 0.0000 -2.3813 -1.4720 14.2404" Properties=species:S:1:pos:R:3 comment="WS8Cl6 PBE relaxed" corrected_energy_ev_per_atom=-4.724 ef_ev_per_atom=-0.915 pbc="T T T"
S 0.1248 2.7206 4.2502
Cl 4.5671 6.8884 12.7146
Cl -0.1560 4.9959 13.4633
S 6.1419 6.0066 8.8046
Cl 1.5479 0.1569 1.5257
Cl 1.7189 -0.0542 12.6632
S 2.0602 5.4289 9.3528
Cl 3.9849 0.5968 10.4027
S -0.0270 1.0387 5.4358
S 4.4256 3.5080 5.6182
S -0.8124 7.1780 9.4767
S 6.9273 -0.1326 4.7637
S 6.9625 2.7585 9.0679
Cl -0.0386 5.8048 1.4839
W 2.1779 6.4561 1.5269
Cl 6.1535 1.2405 12.7565
Cl 4.3960 7.0996 1.5772
Cl 6.2710 2.0494 0.7771
Cl 2.1301 6.4485 3.8377
S 5.2436 0.2601 5.8878
Cl 2.8261 4.2379 1.5359
S -0.8476 4.2868 5.1725
S 1.6894 3.5373 8.6222
W 3.9370 0.5892 12.7135
Cl 3.2889 2.8074 12.7045
S 5.9901 4.3247 9.9902
S 4.0547 1.6164 4.8875
S 0.8714 6.7852 8.3526
S 0.3450 2.5781 9.8589
S 5.7700 4.4672 4.3815


48
Lattice="-10.7806 4.6809 -5.4018 3.5776 -2.3625 -9.1873 -3.8421 -12.4910 -3.1562" Properties=species:S:1:pos:R:3 comment="SbCl5 PBE relaxed" corrected_energy_ev_per_atom=-3.385 ef_ev_per_atom=-1.156 pbc="T T T"
Cl 2.2998 -2.6494 -7.4232
Cl -8.7408 -8.9084 -14.0859
Cl -6.4155 -2.8384 -12.3053
Cl -4.0381 -4.1052 -2.9260
Cl -4.7829 -3.0734 -9.3091
Cl -0.5993 -0.9450 -6.8836
Cl -0.9287 -3.2597 -1.2525
Sb -9.2326 -6.6192 -14.3439
Cl -6.1790 -10.2553 -4.6142
Cl -8.0443 -7.2497 -5.4334
Cl -2.3020 -3.7628 -5.9793
Cl -11.6131 -4.6790 -11.0440
Cl -7.0070 -6.0673 -14.8193
Cl -4.6296 -7.3342 -5.4400
Cl -4.5227 -9.8782 -7.7075
Cl -8.2721 -0.4442 -7.0152
Cl -3.1228 -0.2285 -10.2207
Cl -8.1887 -3.1279 -9.1152
Cl 0.5681 -5.4936 -6.7012
Cl -9.8993 -4.3658 -14.2317
Cl -10.1164 -6.9128 -16.4928
Sb -1.8125 -3.5534 -3.4013
Sb -11.1127 -6.9683 -10.7818
Cl -4.6374 -6.7169 -11.5147
Cl 0.5587 -2.9811 -4.4030
Cl -4.8661 0.0827 -13.1310
Cl -2.3043 -1.2642 -3.6594
Cl -7.9222 -9.9440 -7.5245
Cl -6.4077 -3.4557 -6.2305
Cl -1.1458 -5.8067 -3.5135
Cl -4.8635 -0.5300 -7.0465
Sb -4.6635 -1.5234 -11.4390
Sb -6.6218 -1.8385 -7.9161
Sb -4.4232 -8.3340 -9.8291
Cl -6.5224 -0.2944 -10.0377
Cl -3.0007 -2.9228 -12.3119
Cl -10.2563 -6.6623 -8.6249
Cl -0.7887 -3.5103 -9.1203
Cl -2.8563 -7.0446 -8.6300
Cl -8.7430 -6.4098 -11.7659
Cl -13.3449 -7.5232 -10.3220
Cl -11.6037 -7.1914 -13.3423
Sb -6.3815 -8.6491 -6.3062
Cl -6.2621 -7.0992 -8.4362
Cl -2.7730 -9.7283 -10.7301
Cl -6.1815 -9.6426 -10.6987
Sb 0.0676 -3.2043 -6.9634
Cl -10.4458 -9.2276 -10.8617


16
+++

_Work order_
Return everything earlier on without additions, please.

_Done_
44
Lattice="-0.7394 9.1664 6.1782 -8.3791 -4.5732 5.7822 7.6896 -4.4944 7.5885" Properties=species:S:1:pos:R:3 comment="USCl9 PBE relaxed" corrected_energy_ev_per_atom=-4.412 ef_ev_per_atom=-1.497 magmom_total_mub_per_fu=1.0 pbc="T T T"
Cl 0.6683 -2.4422 4.0793
Cl -0.6158 -4.0802 10.2929
Cl -2.2098 3.8075 6.6920
Cl -4.9540 1.2892 11.7407
Cl -4.8777 -0.8586 6.5150
Cl -1.0617 -0.3519 11.3971
Cl 2.9911 -2.6459 11.2677
Cl 1.7474 -2.4153 7.9009
Cl -1.5603 2.0268 14.0005
Cl -3.2960 6.5296 8.7156
S -0.3212 -0.3676 6.2581
Cl -1.6763 0.3164 4.9502
Cl -5.0199 2.4617 8.8307
Cl 4.3883 2.6721 12.1142
U -0.9312 -0.4179 13.9066
Cl -4.2666 -5.4329 8.6187
Cl 1.8383 -6.0318 10.3860
Cl -0.9461 0.4069 7.9997
S -6.2198 2.0220 10.3711
Cl 1.4996 0.2393 13.8593
Cl -4.2289 -2.0973 9.8667
Cl -0.2850 -2.8853 13.8041
Cl -7.0537 -3.2254 8.0428
S 3.0234 3.4769 10.8877
Cl -0.4634 -6.3254 12.4799
Cl -0.8047 -0.5371 16.4589
U -4.5754 -3.1559 7.5994
Cl 2.4341 0.5913 9.7232
Cl 5.7665 -0.5473 10.3666
S 0.6597 -4.9337 11.5811
Cl -5.6752 4.9339 11.4913
Cl 4.5410 -0.4094 6.9827
Cl 3.4276 5.4389 10.9906
Cl 5.1413 -3.5394 8.5388
U 3.7903 -1.4887 9.1309
Cl -0.3806 6.8930 6.6450
Cl 1.0772 4.0086 8.2231
Cl -3.4073 -1.0483 14.0299
Cl 1.3249 3.3287 11.9360
U -1.1414 5.2600 8.4611
Cl -2.0609 -3.0012 7.1553
Cl 1.3005 0.7326 5.8514
Cl -7.1776 0.3836 9.7218
Cl -1.8447 3.5931 10.2133


30
Lattice="8.5127 0.0000 0.0000 -0.0164 8.5174 0.0000 -2.3813 -1.4720 14.2404" Properties=species:S:1:pos:R:3 comment="WS8Cl6 PBE relaxed" corrected_energy_ev_per_atom=-4.724 ef_ev_per_atom=-0.915 pbc="T T T"
S 0.1248 2.7206 4.2502
Cl 4.5671 6.8884 12.7146
Cl -0.1560 4.9959 13.4633
S 6.1419 6.0066 8.8046
Cl 1.5479 0.1569 1.5257
Cl 1.7189 -0.0542 12.6632
S 2.0602 5.4289 9.3528
Cl 3.9849 0.5968 10.4027
S -0.0270 1.0387 5.4358
S 4.4256 3.5080 5.6182
S -0.8124 7.1780 9.4767
S 6.9273 -0.1326 4.7637
S 6.9625 2.7585 9.0679
Cl -0.0386 5.8048 1.4839
W 2.1779 6.4561 1.5269
Cl 6.1535 1.2405 12.7565
Cl 4.3960 7.0996 1.5772
Cl 6.2710 2.0494 0.7771
Cl 2.1301 6.4485 3.8377
S 5.2436 0.2601 5.8878
Cl 2.8261 4.2379 1.5359
S -0.8476 4.2868 5.1725
S 1.6894 3.5373 8.6222
W 3.9370 0.5892 12.7135
Cl 3.2889 2.8074 12.7045
S 5.9901 4.3247 9.9902
S 4.0547 1.6164 4.8875
S 0.8714 6.7852 8.3526
S 0.3450 2.5781 9.8589
S 5.7700 4.4672 4.3815


48
Lattice="-10.7806 4.6809 -5.4018 3.5776 -2.3625 -9.1873 -3.8421 -12.4910 -3.1562" Properties=species:S:1:pos:R:3 comment="SbCl5 PBE relaxed" corrected_energy_ev_per_atom=-3.385 ef_ev_per_atom=-1.156 pbc="T T T"
Cl 2.2998 -2.6494 -7.4232
Cl -8.7408 -8.9084 -14.0859
Cl -6.4155 -2.8384 -12.3053
Cl -4.0381 -4.1052 -2.9260
Cl -4.7829 -3.0734 -9.3091
Cl -0.5993 -0.9450 -6.8836
Cl -0.9287 -3.2597 -1.2525
Sb -9.2326 -6.6192 -14.3439
Cl -6.1790 -10.2553 -4.6142
Cl -8.0443 -7.2497 -5.4334
Cl -2.3020 -3.7628 -5.9793
Cl -11.6131 -4.6790 -11.0440
Cl -7.0070 -6.0673 -14.8193
Cl -4.6296 -7.3342 -5.4400
Cl -4.5227 -9.8782 -7.7075
Cl -8.2721 -0.4442 -7.0152
Cl -3.1228 -0.2285 -10.2207
Cl -8.1887 -3.1279 -9.1152
Cl 0.5681 -5.4936 -6.7012
Cl -9.8993 -4.3658 -14.2317
Cl -10.1164 -6.9128 -16.4928
Sb -1.8125 -3.5534 -3.4013
Sb -11.1127 -6.9683 -10.7818
Cl -4.6374 -6.7169 -11.5147
Cl 0.5587 -2.9811 -4.4030
Cl -4.8661 0.0827 -13.1310
Cl -2.3043 -1.2642 -3.6594
Cl -7.9222 -9.9440 -7.5245
Cl -6.4077 -3.4557 -6.2305
Cl -1.1458 -5.8067 -3.5135
Cl -4.8635 -0.5300 -7.0465
Sb -4.6635 -1.5234 -11.4390
Sb -6.6218 -1.8385 -7.9161
Sb -4.4232 -8.3340 -9.8291
Cl -6.5224 -0.2944 -10.0377
Cl -3.0007 -2.9228 -12.3119
Cl -10.2563 -6.6623 -8.6249
Cl -0.7887 -3.5103 -9.1203
Cl -2.8563 -7.0446 -8.6300
Cl -8.7430 -6.4098 -11.7659
Cl -13.3449 -7.5232 -10.3220
Cl -11.6037 -7.1914 -13.3423
Sb -6.3815 -8.6491 -6.3062
Cl -6.2621 -7.0992 -8.4362
Cl -2.7730 -9.7283 -10.7301
Cl -6.1815 -9.6426 -10.6987
Sb 0.0676 -3.2043 -6.9634
Cl -10.4458 -9.2276 -10.8617


16